Are you traveling over the holidays? Wondering if you should try to write or not over your break?
“Ask the Writing Coach: Should I Take My Computer on Vacation?”
Catherine, a freelance writer, asks, “I leave town for two weeks tomorrow and I’m debating: should I pack the laptop? How do I decide if I should take my computer on vacation?”
You’re not alone, Catherine. Many writers have asked me this same question, most of them expecting to hear a clear directive:
**Data records, kept here for reference**
-- begin --
(1)
The following is a quantum chemistry calculation of an isolated molecule of C3H7N3O at a distorted geometry, from the OMol25 dataset.

HOMO-LUMO gap   8.7 eV
SMILES string   C/N=C(/N)C(N)=O
Electronic energy   -357.9606 a.u.
Energy above the lowest of the compared OMol25 structures with the same formula, charge and spin   2.428 eV
E_HOMO   -8.19 eV
E_LUMO   0.5281 eV

Each line ends with the natural charge from an NBO analysis.
Atoms and positions in Å:
C 1.33 0.97 -0.56  -0.41
N 0.71 -0.18 -1.16  -0.61
C 0.15 -0.67 -0.09  0.39
N 0.39 -1.90 0.38  -0.74
C -1.11 -0.04 0.56  0.59
N -1.63 1.01 -0.11  -0.81
O -1.65 -0.59 1.51  -0.61
H 2.34 0.75 -0.20  0.19
H 0.87 0.85 0.55  0.16
H 1.37 1.87 -1.21  0.20
H -0.16 -2.25 1.15  0.42
H 1.21 -2.37 0.06  0.41
H -1.28 1.23 -1.04  0.42
H -2.55 1.32 0.16  0.41

---

(2)
The following is a quantum chemistry calculation of a 2-piece molecular cluster, C3H7N3O overall at a distorted geometry, from the OMol25 dataset.

HOMO-LUMO gap   9.7 eV
SMILES string   [H]/N=C\C.N=C=NO
Electronic energy   -357.8732 a.u.
Energy above the lowest of the compared OMol25 structures with the same formula, charge and spin   4.808 eV
E_HOMO   -8.82 eV
E_LUMO   0.9142 eV

Each line ends with the natural charge from an NBO analysis.
Atoms and positions in Å:
H 0.33 -0.27 -2.59  0.35
N 0.50 -0.35 -1.59  -0.71
C -0.51 -0.17 -0.83  0.21
C -1.87 0.25 -1.31  -0.70
H -0.59 -0.71 0.16  0.19
H -2.29 1.02 -0.66  0.23
H -1.82 0.64 -2.33  0.21
H -2.53 -0.61 -1.32  0.23
N 1.13 -0.49 3.31  -0.70
C 1.09 0.06 2.23  0.60
N 1.22 0.32 1.05  -0.29
O 2.36 0.27 0.27  -0.53
H 1.01 -0.16 4.25  0.40
H 1.98 0.21 -0.64  0.51

---

(3)
The following is a quantum chemistry calculation of an isolated molecule of C3H7N3O at a distorted geometry, from the OMol25 dataset.

HOMO-LUMO gap   10.5 eV
SMILES string   [H]/N=C/NC(=O)NC
Electronic energy   -358.0176 a.u.
Energy above the lowest of the compared OMol25 structures with the same formula, charge and spin   0.879 eV
E_HOMO   -9.73 eV
E_LUMO   0.7862 eV

Each line ends with the natural charge from an NBO analysis.
Atoms and positions in Å:
H -4.08 0.07 -0.54  0.34
N -3.32 0.30 0.09  -0.66
C -2.23 -0.16 -0.40  0.27
N -1.00 -0.02 0.24  -0.65
C 0.20 -0.44 -0.27  0.79
O 0.41 -1.00 -1.32  -0.60
N 1.14 0.03 0.71  -0.71
C 2.41 0.42 0.16  -0.41
H -2.15 -0.69 -1.36  0.18
H -0.72 0.45 1.09  0.43
H 1.21 -0.55 1.53  0.39
H 2.19 1.13 -0.64  0.21
H 2.94 -0.45 -0.23  0.19
H 3.00 0.92 0.94  0.20

---

(4)
The following is a quantum chemistry calculation of C3H7N3O as an isolated structure at a distorted geometry, from the OMol25 dataset.

HOMO-LUMO gap   9.1 eV
Electronic energy   -357.8181 a.u.
Energy above the lowest of the compared OMol25 structures with the same formula, charge and spin   6.307 eV
E_HOMO   -8.33 eV
E_LUMO   0.7701 eV

Each line ends with the natural charge from an NBO analysis.
Atoms and positions in Å:
C 1.04 0.68 1.28  -0.44
N 0.50 -0.32 0.37  -0.31
N 1.07 -0.23 -0.86  -0.21
N 0.41 -0.81 -1.85  -0.39
-- stop --
“Of course not! Leave the computer at home.”
Alas, it’s not so simple. There’s no one-size-fits-all “take the computer or not” answer for everyone. As you decide what’s right for you, today I offer you a few case studies to consider– real-life examples from my coaching practice.
Just Say No. (Ronnie’s Opportunity)
Meet Ronnie.
In the past two months, Ronnie’s made major strides in creating clear boundaries between his freelancing work and his personal life. He says he’s much happier and energized about his work these days. He feels like he has more control over his time, too. When Ronnie’s working, he’s really working. When he’s not, he’s completely off-duty — no laptop in sight. Ronnie reports that his partner really appreciates his newfound ability to be more present when he’s at home, and he loves the newfound peace-of-mind he’s found.
But Ronnie’s vacation last month posed an interesting opportunity: would he stick to his new habits and dare to be truly offline while vacationing…for an entire week? Or would he tuck his laptop in his luggage, just to check in?
I challenged Ronnie to honor his own time boundaries. I dared him to leave the computer at home.
Choosing a computer-free vacation required Ronnie to work a bit harder before he left town. His decision also required Ronnie to act on faith. He had to trust that he’d “done enough” before leaving town. He had to trust that new assignments and opportunities would be readily available to him once he returned.
When Ronnie returned to his writing desk a week later, he was slightly more tanned and chock full of new story ideas. “I left my computer behind…I did it!” he told me during our next coaching call. He sounded pleased.
Ronnie left his work at home, and by traveling laptop-free, he’d taken a courageous stand to respect his own time and boundaries.
“I wouldn’t have done it any other way,” he said.
Don’t Leave Home Without It. (Kelly’s Opportunity)
Kelly’s situation was a bit different. A writer and busy mom, she used our coaching structure to help her create the extra time she needed to develop a long-term book project. She gained momentum quickly and loved her work. Until late May, that is. Earlier this year, the end-of-school hustle derailed her writing progress for an entire three weeks.
A few weeks after the school year ended, Kelly readied her family for a two-week vacation. “I should leave the laptop at home, right? And not work on the book?” she asked. She seemed hesitant. A tiny bit guilty.
Kelly was working on a personal writing project she loved. In her case, traveling with some of her research and her laptop was an act of self-care. It took courage for her to admit that, “for me, writing is ‘resting.’ I’m a writer and I love my work!” But she did it.
Kelly returned from her vacation quite pleased. She packed her laptop and didn’t work on the book every day — she wasn’t expecting herself to in the first place. She did manage to move her project forward though, and by investing just a few joyful and productive hours in her project, she regained much of the momentum she’d lost at the end of the school year. Better yet, she felt great!
If you’re like Kelly, I encourage you to own your own version of what it means to rest and relax. Don’t just blindly accept society’s definitions. If you find that working on your independent writing project is restorative and joyful, go for it. Pack your laptop and enjoy some no-pressure writing sessions.
Allow yourself to be true to you, regardless of how aligned you are with others’ expectations of you.
Keep It Simple. (Melissa’s Opportunity)
This week Melissa, a hard-working freelancer in the midst of an exciting career breakthrough, mentioned her well-deserved vacation during our call. “We leave tomorrow morning,” she said, “and I’m trying to decide if I need to take the laptop…”
“Here we go,” I thought.
Remember how, in Ronnie’s case, saying no was an act of courage and integrity?
Remember how, in Kelly’s case, saying yes was an act of courage and integrity?
Well, Melissa’s case was a bit different. Melissa’s decision wasn’t about taking a stand or owning her true nature. She just needed to think through a few logistics: did she really need her laptop?
After thinking things through carefully, Melissa realized that she needed access to much less info than she’d first thought. If the art department called her cellphone with a truly urgent caption question (her worst-case scenario), she realized she needed to be able to access her Dropbox, not her entire hard drive.
She planned to upload a few documents to the cloud this afternoon.
When she boards the plane tomorrow, Melissa will be travelling light: no laptop. No paperwork. No anxiety. She’s well-prepared to respond, if needed.
What’ll It Be? (Here’s Your Opportunity)
So…what’ll it be? Did you relate to any of these writers?
As you pack your bags and decide for yourself whether the laptop stays or goes, I hope you’ll also take a moment to make this simple decision: “I’m going to have a great trip.”
Tuck a clear intention in your pocket and do everything you can to leave town feeling happy and relaxed.
Laptop or not, I hope you enjoy your vacation, Catherine. If you write for a living, I’ve no doubt that you deserve it!
With love from your coach,